
Using PADLET in class to promote inquiry and discussion around assessment briefs


One of the things that you quickly become aware of teaching in the online age is that easy access to information doesn’t always mean that people will access it. We live in the age of the attention wars and if you want people to look at something then the best way to get them to look is to shout louder than anybody else.

This very true of getting students to read assessment briefs. I have actually come to believe that for the most part this document is rarely read by students yet it is a key part of the assessment puzzle. There is a solution though and it’s a simple one – get the students to read the assessment briefs in class. It seemed like a good idea and it turns out it is also a very absorbing one. It even appears to be quite motivating.

I tried it myself this week in three different classes and got quite different results on each occasion.

The first class was a level 4 (first year) group of around 18 students and we undertook the task towards the end of a session in an IT suite. Prior to the exercise we had been researching material for a presentation the students will give in a couple of weeks which feeds into their assessment. I set them the task of finding the assessment briefs on the VLE (moodle) and asked them to read them having explained they would need to take notes. While they were reading I set up a Padlet (more on this below) and put the URL up on a screen.

It took a while for them to find the assessment briefs and to read through them. I think the whole thing felt like a bit of an adventure and I felt there was an air of inquisitive enquiry about the activity. After a bit of a note-taking session I asked them to get into pairs to discuss their notes. Then I asked them to open the Padlet URL and add notes to the page which they did and you can see the results by following the link below:

The second class was older, a L6 (third year) group consisting mostly of international students. This class performed the task in a more perfunctory manner and the air of inquisitive inquiry was not present. Looking at what they posted to the Padlet you can see that in general they cut and pasted directly from the assessment briefs and there was not much of an attempt to paraphrase or summarise. This may have been down to the way I set up the task, but equally I can see on reflection that these students were much more experienced and more confident about managing assessment. Nevertheless, I would have expected more questions and a sense of investigation which doesn’t seem to be present in their Padlet which you can see below:

For the final session, again another L4 group of around 18 students I took the time to frame the task in a way that I hoped would encourage them to take more time over summarising and paraphrasing the notes they posted to Padlet. I think this worked to a certain extent but there again the results for the first session where a little more inquiring. For example there are posts with excerpts from the grading criteria which suggest an attempt to express a sense of what needs be achieved that goes beyond pure description. You can see the final Padlet here:

In my mind, the task was very successful and it achieved what it set out to achieve. Throughout all of the sessions the students were absorbed and it allowed me to problem solve around definitions, interpretations and even ensure all the students had access. One student even commented that they had never read the assessment briefs before and that this was really useful.

If nothing else the students have now read the assessment briefs for the courses I am teaching, they know where to find them for other courses, plus hopefully they have gained a sense of the value of reading them. The use of Padlet also provided a good mechanism for focussing the student’s attention, it included the opportunity to read and comment on each other’s posts and also served to reinforce the information they had gathered through note-taking and then rewriting as they posted a note to Padlet.

I had never used Padlet before. It is a really good tool, very flexible, easy to set up and free (though you do get offers to upgrade). You just register and set up a profile. Then you can open and configure a page and go live within a few minutes. I can imagine using it again in numerous ways as the students really enjoy using it. The fact that you can instantly display their notes, the interactivity, all of this is very useful. Plus you can post the link to the Padlet on the VLE after the class and make all that information available.

_Inserted here: records of crystals_
/*
For KNdTc2O8, DFT lattice parameters and positions (PBE) gives the computed XRD peak list in this record (copper Kα).
Intensities are scaled so that the largest is 100.

The 10 most intense peaks (2θ = 10–80°), by angle:
- 2θ 20.41, I 100.0, (0 1 1)
- 2θ 28.65, I 45.7, (1 0 2)
- 2θ 29.40, I 48.9, (1 1 0)
- 2θ 38.90, I 10.4, (1 0 3)
- 2θ 41.51, I 25.5, (0 2 2)
- 2θ 47.19, I 20.0, (1 2 1)
- 2θ 51.68, I 16.7, (2 1 2)
- 2θ 52.15, I 9.5, (3 0 0)
- 2θ 56.41, I 14.1, (1 1 4)
- 2θ 61.00, I 9.5, (2 2 0)

Crystal structure
abc: 6.076 6.076 7.734
angles: 90.00 90.00 120.00
Fractional coordinates of all 12 atoms:
K: 0.000 0.000 0.000
Nd: 0.000 0.000 0.500
Tc: 0.333 0.667 0.773
Tc: 0.667 0.333 0.227
O: 0.173 0.345 0.693
O: 0.173 0.827 0.693
O: 0.333 0.667 0.999
O: 0.345 0.173 0.307
O: 0.655 0.827 0.693
O: 0.667 0.333 0.001
O: 0.827 0.173 0.307
O: 0.827 0.655 0.307

----------

[1]
SmTl4Te3: simulated XRD peak list (copper Kα), based on DFT lattice parameters and positions (GGA-PBE).

Crystal structure
abc: 9.0727 9.0727 9.0727
angles: 121.89 121.89 86.76
Fractional coordinates of all 16 atoms:
Sm (0.0000, 0.0000, 0.0000)
Sm (0.5000, 0.5000, 0.0000)
Tl (0.0207, 0.5207, 0.2108)
Tl (0.1901, 0.9793, 0.5000)
Tl (0.3099, 0.8099, 0.7892)
Tl (0.4793, 0.6901, 0.5000)
Tl (0.5207, 0.3099, 0.5000)
Tl (0.6901, 0.1901, 0.2108)
Tl (0.8099, 0.0207, 0.5000)
Tl (0.9793, 0.4793, 0.7892)
Te (0.1692, 0.3308, 0.5000)
Te (0.2500, 0.2500, 0.0000)
Te (0.3308, 0.8308, 0.1616)
Te (0.6692, 0.1692, 0.8384)
Te (0.7500, 0.7500, 0.0000)
Te (0.8308, 0.6692, 0.5000)

The 12 most intense peaks (10° ≤ 2θ ≤ 80°), by intensity:
2θ/deg  Rel. int.
30.5  100
32.1  49
60.4  20
68.3  14
53.1  13
59.4  13
47.3  11
30.7  11
41.1  10
43.6  10
61.4  10
46.1  9


[2]
KHfTePdSeS: simulated XRD peak list (copper Kα), based on DFT lattice parameters and positions (GGA-PBE).

Crystal structure
abc: 8.6744 3.8811 9.8572
angles: 90.00 112.23 90.00
Fractional coordinates of all 12 atoms:
K (0.2236, 0.2500, 0.2220)
K (0.7764, 0.7500, 0.7780)
Hf (0.1760, 0.7500, 0.6601)
Hf (0.8240, 0.2500, 0.3399)
Te (0.4136, 0.2500, 0.6356)
Te (0.5864, 0.7500, 0.3644)
Pd (0.3951, 0.2500, 0.9070)
Pd (0.6049, 0.7500, 0.0930)
Se (0.2320, 0.7500, 0.9433)
Se (0.7680, 0.2500, 0.0567)
S (0.0327, 0.7500, 0.3727)
S (0.9673, 0.2500, 0.6273)

The 12 most intense peaks (10° ≤ 2θ ≤ 80°), by intensity:
2θ/deg  Rel. int.
11.6  100
32.1  39
30.9  25
44.2  24
35.8  20
28.8  17
29.4  17
25.8  16
46.8  15
38.9  13
17.3  12
35.3  11


[3]
NiAs2: simulated XRD peak list (copper Kα), based on DFT lattice parameters and positions (GGA-PBE).

Crystal structure
abc: 5.7994 5.8683 11.4881
angles: 90.00 90.00 90.00
Fractional coordinates of all 24 atoms:
Ni (0.0052, 0.1741, 0.1285)
Ni (0.0052, 0.3259, 0.6285)
Ni (0.4948, 0.6741, 0.1285)
Ni (0.4948, 0.8259, 0.6285)
Ni (0.5052, 0.1741, 0.3715)
Ni (0.5052, 0.3259, 0.8715)
Ni (0.9948, 0.6741, 0.3715)
Ni (0.9948, 0.8259, 0.8715)
As (0.1198, 0.5528, 0.1814)
As (0.1198, 0.9472, 0.6814)
As (0.1379, 0.1899, 0.9316)
*/

If you haven’t already had a play with Padlet I would recommend giving it a go.